Sunday, August 23, 2009


I've been trying to figure out how to phrase this. I suppose I'll just start from the beginning.

I remember going to church as a kid where you wore your church dress and there was a choir and church was church. You went there to learn, be fed with the Word of God, and filled with the joy of being in Christ.

I was a kid, though, and that memory is a stale 10 years old. Today you find more bands than choirs and I'm thrilled when I can wear a pair of jeans on a Sunday instead of scrounging around for a nice skirt (I wouldn't normally mind wearing a skirt but I have something along the lines of folliculitis and my legs look a mess). Never-the-less, despite the changes, I still go to church on Sundays to be fed. Finding a church up here was a bit easier for Jo and I because my pastor's older brother teaches up here, so we switch off with his church (non-denominational) and an episcopal church (for Jo) every other week. So far, I've been fairly cool with going to his church because he was very nice to us when we introduced ourselves and he's had a few good talks with Jo, who likes to discuss religion much more than I do. Also, this church is relaxed, just like my pastor's from home, so I felt like the transition went fairly smoothly. However, today kind of threw me off guard.

For a moment, stop to ponder this: where do you draw the line at how relaxed a church is? I'm not talking beliefs but what specifically is or is not allowed of the congregation.

My pastor's brother's church is housed in an old movie theater and it is what I would call "a mega church." It has a large congregation and I'm not surprised that I hardly recognize any regulars because I A) am there every other week and B) have only been a couple of times due to trips home. When Jo and I walked in today, the worship service had just begun so we searched for seats and other people arrived and sat around us until the whole place was fairly full. Normally, I hardly pay any attention to the people around me because I'm there to learn but, today, the guy sitting on my left definitely caught my eye to the point where I was distracted by him for most of the service.

-- Between two parts of the entry: data records --
~~~
# 1
{
  "formula": "C3H4N2O",
  "method": "wB97M-V/def2-TZVPD",
  "elements": ["C", "C", "N", "H", "H", "H", "N", "C", "O", "H"],
  "positions_angstrom": [[-1.849, 0.719, -0.493], [-1.405, -0.302, 0.197], [-1.026, -1.271, 0.851], [-2.010, 0.621, -1.559], [-1.931, 1.697, -0.037], [-0.005, -1.358, 0.838], [2.230, -0.712, 0.325], [1.859, 0.257, -0.312], [1.453, 1.080, -1.032], [2.684, -0.731, 1.222]],
  "lumo_ev": 0.57,
  "de_lowest_kj_mol": 176.1,
  "smiles": "C=C=N.N=C=O",
  "e_tot_ev": -8202.0605,
  "gap_ha": 0.353
}


# 2
{
  "formula": "C18H18Cl3FN3O9SeTi",
  "method": "wB97M-V/def2-TZVPD",
  "elements": ["Ti", "C", "C", "N", "C", "C", "C", "O", "O", "C", "O", "C", "C", "C", "F", "C", "C", "C", "N", "C", "C", "N", "C", "C", "H", "H", "H", "H", "H", "H", "H", "H", "H", "H", "H", "H", "H", "H", "H", "H", "H", "H", "Cl", "C", "Cl", "Cl", "C", "O", "O", "O", "Se", "O", "O", "O"],
  "positions_angstrom": [[0.233, -0.337, 4.748], [1.084, 3.760, -1.770], [2.002, 2.807, -1.024], [1.283, 2.023, -0.004], [1.381, 2.389, 1.278], [0.753, 1.753, 2.317], [1.016, 2.280, 3.696], [1.546, 3.344, 3.865], [0.614, 1.488, 4.676], [-0.090, 0.656, 2.048], [-0.721, 0.001, 2.928], [-0.209, 0.257, 0.655], [-0.996, -0.856, 0.335], [-1.068, -1.265, -0.963], [-1.861, -2.302, -1.294], [-0.352, -0.627, -1.987], [0.410, 0.477, -1.674], [0.490, 0.938, -0.351], [-0.394, -1.078, -3.342], [-1.479, -0.537, -4.144], [-1.150, -0.698, -5.617], [-0.880, -2.152, -5.907], [0.202, -2.712, -5.019], [-0.213, -2.501, -3.577], [1.657, 4.320, -2.509], [0.629, 4.473, -1.083], [0.283, 3.231, -2.288], [2.780, 3.356, -0.500], [2.512, 2.115, -1.693], [2.008, 3.243, 1.501], [-1.537, -1.372, 1.116], [0.968, 0.949, -2.470], [-1.599, 0.525, -3.936], [-2.442, -1.025, -3.921], [-0.239, -0.160, -5.875], [-1.967, -0.377, -6.259], [-0.630, -2.272, -6.889], [-1.739, -2.687, -5.755], [1.115, -2.170, -5.259], [0.317, -3.766, -5.263], [0.573, -2.886, -2.927], [-1.118, -3.089, -3.372], [-2.754, 1.172, 5.341], [-2.409, 0.008, 6.640], [-3.648, 0.037, 7.858], [-0.821, 0.427, 7.350], [-2.274, -1.390, 5.962], [-3.104, -2.232, 6.096], [-1.177, -1.492, 5.243], [3.362, -2.727, 4.733], [2.795, -1.257, 4.606], [1.435, -1.174, 3.525], [1.685, -0.866, 5.870], [3.736, -0.019, 4.286]],
  "lumo_ev": -3.56,
  "de_lowest_kj_mol": 0.0,
  "e_tot_ev": -170597.8573,
  "gap_ha": 0.307,
  "charge": 1
}


# 3
{
  "formula": "C2H3IN",
  "method": "wB97M-V/def2-TZVPD",
  "elements": ["C", "C", "N", "I", "H", "H", "H"],
  "positions_angstrom": [[1.097, -0.895, 0.007], [-0.399, 1.029, -0.067], [0.384, 0.178, -0.232], [-3.190, -0.091, 0.044], [1.432, -0.823, 1.052], [1.594, -1.302, -0.813], [-0.919, 1.905, 0.010]],
  "lumo_ev": [-8.56, -8.57],
  "de_lowest_kj_mol": 326.5,
  "e_tot_ev": -11700.9923,
  "gap_ha": [0.202, 0.201],
  "charge": 1
}


# 4
{
  "formula": "C36H39ClP2Zn",
  "method": "wB97M-V/def2-TZVPD",
~~~

Let me begin with this by mentioning that this church, like my pastor's, has a coffee shop, so I'm used to seeing at least half of the congregation sitting with hot or cold coffee in the cup holders. The guy sitting on my right had brought his own water bottle and that had no effect on me. What began to irritate me a little was when he decided to pull out a power bar and proceed to ear it fairly loudly, twisting the wrapper down so it made that horrible crinkly sound. I nudged Jo and we both smiled in an agreement of "how weird" and then I went back to listening. 5-10 minutes later, I was distracted again by heavy breathing and, looking to my left, I saw that he had begun to fall asleep. OK, I admit, I will get sleepy in church at times but I have never permitted myself to actually fall asleep because I feel it is very disrespectful to your pastor as well as to God, so I was slightly annoyed by this. Especially by the fact that he woke up, dozed off, woke up, and dozed off again. Sighing to myself, I returned my attention to the pastor.

Then I heard it. The crinkle of light plastic. I looked over to see him reaching into a bag of Jelly Belly's that a girl (daughter/sister?) was holding out for him. At that point, I was done. "What are you doing?" I wanted to say to him. "This isn't a lecture. This is church. You're snacking through church! Did you not eat breakfast or lunch? Excuse me?"

I realize that this may sound a bit harsh (and mom and I have already had this chat so I know exactly how she feels) but this kind of turned me off of the church. I mean, my pastor's church was probably the most relaxed church I've been to but no one snacks in there. And people there stand up and worship without needing the band telling them to. What are these people afraid of? I'm not just talking about a few people, either. I mean BIG theater seating. And, when the band was finished playing a song that seemed to be a local favorite or a hit, half of the congregation clapped. Excuse me? This isn't a concert. This is worship service! This band is playing to lead us in worship, not perform their favorite songs for our enjoyment. This shouldn't bug me but, honestly, I feel that a lot of standards and traditions have gone down the drain. If I didn't disagree so much with most of the Catholic doctrine, I would become Catholic because I feel like basic church standard is gone. Eating during church. Sleeping during church. Next thing you know, people will be texting on their cell phones, bringing their laptops, and answering phone calls.

I realize that the people shouldn't judge a church on it's congregation but doesn't a congregation reflect the church? I pondered this with Jo all the way back to my apartment because this was something that bugged him as well. And we've decided that this church has received a little check in our "black book". If I didn't adore the pastor and his brother so much, I'd be researching new churches before next Sunday to visit. However, due to the beliefs of my mom that, if I feel that I am being fed properly, that I should keep going, I've decided to give it another chance.

I want to throw these thoughts out there to all of you. I'm curious for a response as to what you think about current church standards and whether or not you think I'm out of line. Honestly. Give me your thoughts. Don't hold back. Not today.

1 comment:

  1. grab the bag of jelly beans and proceed to chuck them one by one at his head. its worked for me in the movie theatre, i see no reason why it wouldnt work for you.
    hey sis, guess who this is ;p
